<<<
Computed, not measured: C17H18Cl2F6GaIN4SSbSi as an isolated structure, with ωB97M-V/def2-TZVPD.

Cartesian coordinates (Å):
Ga -0.170780 -0.781148 -0.517783
C -1.200420 4.045307 2.309900
Si -1.194729 4.590475 0.512177
C 0.056945 5.992468 0.328108
C -2.918934 5.190924 0.029598
C -0.784901 3.258470 -0.794652
C -0.959097 3.595929 -2.135206
C -0.818691 2.667697 -3.157431
C -0.535786 1.361596 -2.822994
N -0.330810 1.013162 -1.556388
C -0.414076 1.917791 -0.552343
S 0.014616 1.205031 0.953117
H -1.630684 4.833653 2.934544
H -0.189214 3.845983 2.663504
H -1.783707 3.138850 2.458904
H -0.165540 6.780765 1.051677
H 0.039278 6.440460 -0.667320
H 1.071490 5.640073 0.522506
H -3.260483 5.969592 0.715912
H -3.641552 4.373751 0.065263
H -2.937383 5.608943 -0.978898
H -1.225293 4.617421 -2.388170
H -0.948210 2.942314 -4.194149
H -0.469211 0.576385 -3.561533
F -1.939074 -0.904104 -0.126055
Sb 0.199421 -2.717300 -2.915426
F -1.180819 -3.999574 -3.165493
F -1.225228 -1.461658 -2.535717
F -0.000449 -2.294845 -4.742512
F 1.250891 -1.047810 -2.769889
F 1.850954 -3.594762 -3.316617
Cl 2.437320 -0.843238 0.333434
C 2.509030 -2.543609 0.397046
C 3.512155 -3.182951 1.080306
C 3.597554 -4.568264 1.027667
C 2.688544 -5.316766 0.286770
C 1.675221 -4.694081 -0.398604
Cl 0.502803 -5.624310 -1.210955
C 1.517704 -3.259623 -0.357343
N 0.493185 -2.616211 -0.940750
H 4.237708 -2.605432 1.635181
H 4.388320 -5.074079 1.564175
H 2.757325 -6.394795 0.256355
I 0.311186 -3.931024 5.384047
C -0.222438 -3.158094 3.534028
C -1.231404 -3.610275 2.710389
N -1.204306 -2.818574 1.626706
N -0.252699 -1.888072 1.698681
C 0.352309 -2.069447 2.862055
H -1.934708 -4.415288 2.836003
H -1.847729 -2.767411 0.846151
H 1.154394 -1.424295 3.182024

Forces on atoms 1 to 3 (eV/Å):
Ga -1.30 1.96 0.93
C 0.01 -0.06 -0.24
Si 0.04 0.14 -0.14

Values from the calculation:
Total charge = 0
E = -150963.525 eV
Expectation value of S² = 0.784
2S+1 = 2



Computed, not measured: C17H18F3FeN2O4STe4 as an isolated structure, with ωB97M-V/def2-TZVPD.

Cartesian coordinates (Å):
Fe 0.455673 0.596752 0.736311
Te 0.464366 0.792633 3.032275
Te 0.365274 0.015688 5.645337
Te -1.135492 2.339291 1.161613
Te 1.436947 2.696475 1.107238
C -2.483858 -2.469633 -0.313501
C -1.945874 -1.578992 0.816342
C -1.330730 -2.519833 1.872748
C -0.900700 -0.626277 0.271102
C -3.074781 -0.760814 1.452306
C -3.019643 -0.369231 2.792247
C -4.016325 0.413025 3.358680
C -5.117842 0.802872 2.612494
C -5.190891 0.417359 1.281862
C -4.180316 -0.342053 0.709863
H -1.678095 -3.099687 -0.695775
H -2.861237 -1.888469 -1.154824
H -3.289541 -3.114945 0.054678
H -0.647598 -3.218287 1.384051
H -2.118868 -3.094909 2.371197
H -0.765309 -1.980025 2.630714
H -0.930185 -0.541369 -0.830378
H -2.196511 -0.660019 3.432313
H -3.909204 0.706154 4.396307
H -5.905266 1.404057 3.051525
H -6.043174 0.710930 0.678647
H -4.275024 -0.607803 -0.334391
F -0.177173 2.724176 -3.639393
C 1.090757 2.964418 -3.248326
F 1.867541 2.077381 -3.918521
F 1.411919 4.181182 -3.748263
S 1.280276 2.883005 -1.373047
O 2.747730 3.096365 -1.432807
O 0.361521 4.031676 -1.181112
O 0.714253 1.484821 -1.359962
N 5.008631 1.691025 -2.059238
C 5.048052 0.340515 -2.247117
O 5.931739 -0.195519 -2.907129
C 3.987952 -0.433766 -1.570619
C 3.752964 -1.764538 -1.914940
C 2.732042 -2.442370 -1.281194
C 1.963702 -1.790546 -0.328582
N 2.198280 -0.523628 0.030518
C 3.188773 0.113487 -0.573163
H 5.662308 2.207508 -2.623217
H 4.115788 2.162453 -1.883168
H 4.379571 -2.219231 -2.671254
H 2.510493 -3.473141 -1.528262
H 1.136714 -2.264568 0.181861
H 3.380369 1.126405 -0.244047

Forces on atoms 1 to 3 (eV/Å):
Fe -1.45 -5.43 -4.05
Te 0.84 -0.66 5.50
Te -0.34 -0.88 0.03

Values from the calculation:
Total charge = -2
E = -111636.398 eV
Expectation value of S² = 0.984
2S+1 = 2



Computed, not measured: the molecule C17H18FNO4, with ωB97M-V/def2-TZVPD.

Cartesian coordinates (Å):
C 1.437905 3.583053 2.438577
C -0.020393 3.203027 2.233577
H -0.409721 3.637464 1.307954
H -0.633903 3.520732 3.079936
>>>
Your job: search the lines further up for the word "atoms" and print each line that has it.
Forces on atoms 1 to 3 (eV/Å):
Forces on atoms 1 to 3 (eV/Å):